
Maybe not the hero they wanted... but the hero they deserved.

The first two episodes were great.

Except that’s a lie, considering it is sitting at 84% on Rotten Tomatoes (one point more than House of the Dragon).

My favorite is still wypipo complaining Star Trek is too woke. You know, the franchise that was noted for breaking several important interracial taboos and diversity barriers on TV 60 years ago.

The fact that the trolls are mad because their are black people in this show is just hilarious.

“The ultimate protection against trolls is writing a top notch script and sticking the landing with the execution.”

Not a representative audience at all, but I saw so many vocal Tolkien “fans” who were determined to hate this show (for a wide variety of absurd/racist reasons) that I wouldn’t trust any aggregate review numbers. I’ll just gauge it the old-fashioned way - watching the fucking show and judging for myself.

Same... Unless they’re selling cookies.

I dunno what was worse, the extremely forced Dany meltdown that should’ve been built up over multiple episodes that the showrunners were given the option for and refused, or Euron Greyjoy being a cartoonish supervillain that kept Cersei’s faction relevant via sheer plot armor.

I’ve thought about this.
There’s a finite number of phone numbers isn’t there?
If I change my number, which receives it’s fair number of spam calls, what are the odds the the new number isn’t already on a bunch of robo-call lists?

Unless you’re wanting it so that a specific person doesn’t have your number, changing your phone number is pointless.

That, and they probably have to justify the new campus they just built. Didn’t they spend several billion on it? Only to have to send everyone home and (I assume) leave it empty for the last 2 (going on 3) years.

I was losing two hours of my day.

Exactly this. If most of the world were vaccinated, and didn’t mind proving it without the unvaccinated calling it Nazism, then sure, no more masks. I have a four year old with asthma who had to be in the hospital last year. He’ll get vaccinated the minute he’s eligible. And sure, we flew with him pre-covid and

With the exception that one of the unmasked idiots might give it to me, I’d take it home and it would kill my wife or my 91yo dad. She’s seriously immunocompromised, just like any number of other folks dealing with chemo or similar immunocompromised conditions.

We’re kind of tired of having done all we can to with

Airbags are primarily because people refused to wear seat belts. Often it was “I don’t like my clothing to be wrinkled.” Unlike the “false equivalency” claim, not wearing a mask can lead to the tax payer footing the bill for the excess drains on emergency care that are easily avoidable; we haven’t gotten to the place

Using proper masks reduces spread by 53% which still has a significant impact on those vaccinated due to Omicron’s ability to slip by the first level of your immune system. It’s just a mask, if you are flying domestically (excluding Hawaii) you might need it for five hours on the plane. Deplane anyone who is too

EXCEPT.................the airlines own the planes, run the routes, etc. It’s THEIR company. If they say “On our planes we insist on masks” either comply, find a airline with different views, or f’in walk.

-- Next to the article, the page also holds molecular data --
........
P | Molecular formula: C5H8
Method: DFT, ωB97M-V/def2-TZVPD

Each line ends with the Mulliken charge.
Cartesian coordinates (Å):
C (-0.264, 0.808, -1.217)  -0.65
C (0.296, 1.266, 0.163)  -0.76
C (0.781, 0.077, -0.581)  0.17
C (-0.828, -0.809, 1.103)  -0.61
C (0.099, -1.282, 0.012)  -0.26
H (0.052, 1.275, -2.098)  0.28
H (0.509, 1.239, 1.238)  0.49
H (0.834, 2.224, -0.042)  0.29
H (1.731, -0.129, -0.992)  0.47
H (-1.250, -1.601, 1.778)  0.31
H (-1.365, 0.114, 1.156)  0.48
H (-1.007, -0.984, -0.088)  0.37
H (0.413, -2.199, -0.432)  0.43

Results
- ⟨S²⟩ = 0.75
- molar mass (g/mol) = 68.12
- multiplicity = 2
- LUMO (spin up / spin down) (eV) = -6.163 / -6.119
- frontier orbital gap (spin up / spin down) (hartree) = 0.27469 / 0.35586
- net charge = +1

***

Q | Molecular formula: C5H8
Method: DFT, ωB97M-V/def2-TZVPD

Each line ends with the natural charge from an NBO analysis.
Cartesian coordinates (Å):
C (0.681, -1.376, 0.761)  -0.71
C (0.118, -0.406, -0.212)  0.27
C (0.779, -0.187, -1.359)  -0.04
C (-1.077, 1.675, 0.669)  -0.29
C (-1.086, 0.540, 0.032)  -0.29
H (1.757, -1.472, 0.510)  0.28
H (0.316, -1.029, 1.802)  0.29
H (0.383, -2.429, 0.454)  0.33
H (1.619, -0.691, -1.798)  0.22
H (0.440, 0.480, -2.057)  0.21
H (-0.108, 2.161, 0.875)  0.21
H (-1.844, 2.520, 0.709)  0.26
H (-1.978, 0.215, -0.384)  0.26

Results
- ⟨S²⟩ = 0.75
- molar mass (g/mol) = 68.12
- multiplicity = 2
- LUMO (spin up / spin down) (eV) = -4.844 / -9.040
- frontier orbital gap (spin up / spin down) (hartree) = 0.39044 / 0.23270
- net charge = +1

***

Referenced to the most stable arrangement, the calculated values in kcal/mol are P 96.3; Q 0.0.

***

P | Molecular formula: C11H15N2O2
Method: DFT, ωB97M-V/def2-TZVPD

Each line ends with the natural charge from an NBO analysis.
Cartesian coordinates (Å):
C (-0.856, 1.810, -0.474)  -0.61
C (-1.097, 0.511, 0.270)  -0.24
C (-1.080, 0.761, 1.786)  -0.40
C (0.282, 1.248, 2.381)  -0.41
C (1.445, 0.287, 1.973)  -0.40
C (1.395, 0.002, 0.411)  -0.40
C (0.040, -0.450, -0.110)  0.01
C (-0.271, -2.050, 0.706)  0.82
O (-1.475, -2.321, 0.699)  -0.76
O (0.766, -2.648, 1.051)  -0.75
N (-0.013, -0.726, -1.508)  -0.36
C (0.991, -0.740, -2.416)  -0.13
C (0.429, -1.255, -3.592)  -0.11
N (-0.833, -1.622, -3.372)  -0.50
C (-1.019, -1.322, -2.111)  0.17
H (-0.322, 2.505, 0.038)  0.19
H (-1.935, 2.203, -0.607)  0.19
H (-0.479, 1.819, -1.471)  0.21
H (-2.115, 0.176, 0.010)  0.23
H (-1.368, -0.146, 2.372)  0.23
H (-1.784, 1.585, 2.058)  0.19
H (0.141, 1.325, 3.484)  0.20
H (0.664, 2.272, 2.109)  0.18
H (2.442, 0.672, 2.184)  0.19
H (1.306, -0.727, 2.494)  0.23
H (1.629, 1.006, 0.001)  0.16
H (2.207, -0.577, 0.210)  0.22
H (1.965, -0.332, -2.344)  0.21
H (0.936, -1.491, -4.543)  0.18
H (-1.990, -1.776, -1.689)  0.23

Results
- molar mass (g/mol) = 207.25
- multiplicity = 1
- SMILES = C[C@@H]1CCCC[C@]1(C(=O)[O-])n1ccnc1
- LUMO (eV) = 3.423
- frontier orbital gap (hartree) = 0.27219
- net charge = -1

***
........

Yeah, that sucks. Individual results aren’t representative of the overall effect. Even with airbags and seatbelts people die in car crashes. Are you suggesting we remove those features from cars because they don’t always work?

They do get sick. They just don’t have severe symptoms. And being sick without symptoms means they can pass that illness to everyone around them. So they go to daycare, cough on their little friends, and one of them goes home and gives it to Grandma.